(Request)
Please quote the whole of the block further down with every line break kept.

(Data)
~~~
The following is a computed powder diffraction line list of Th2TlCd5. It was derived from a GGA-PBE-relaxed structure, using Cu Kα.
Intensities are scaled so that the largest is 100.

The 8 most intense peaks (15 to 90 degrees two-theta), low angle first:
Position (°2θ)	d [Å]	I_rel	h k l
26.54	3.358	34	1 1 2
30.21	2.958	100	1 3 2
31.64	2.827	76	1 5 0
33.44	2.679	51	1 1 3
38.18	2.357	49	2 0 0
41.00	2.201	30	0 6 3
42.00	2.151	21	1 5 3
57.26	1.609	22	2 6 3

Structural model:
```
data_Th2TlCd5
_chemical_formula_sum 'Th8 Tl4 Cd20'
_symmetry_space_group_name_H-M 'C m c m'
_symmetry_Int_Tables_number 63
_symmetry_space_group_name_Hall '-C 2c 2'
_cell_length_a 4.715
_cell_length_b 17.673
_cell_length_c 9.939
_cell_angle_alpha 90.00
_cell_angle_beta 90.00
_cell_angle_gamma 90.00
loop_
_atom_site_label
_atom_site_type_symbol
_atom_site_fract_x
_atom_site_fract_y
_atom_site_fract_z
Th1 Th 0.000 0.000 0.000
Th2 Th 0.000 0.193 0.250
Tl1 Tl 0.000 0.455 0.750
Cd1 Cd 0.000 0.192 0.604
Cd2 Cd 0.000 0.353 0.529
Cd3 Cd 0.000 0.388 0.250
```



The following is a computed powder diffraction line list of Y2ZrBe. It was derived from a GGA-PBE-relaxed structure, using Cu Kα.
Intensities are scaled so that the largest is 100.

The 8 most intense peaks (15 to 90 degrees two-theta), low angle first:
Position (°2θ)	d [Å]	I_rel	h k l
28.49	3.133	69	1 0 1
32.29	2.773	32	0 0 3
34.17	2.624	100	1 0 2
37.62	2.391	57	1 1 0
50.40	1.811	35	1 1 3
54.25	1.691	19	2 0 0
62.19	1.493	18	1 0 5
65.70	1.421	28	2 1 2

Structural model:
```
data_Y2ZrBe
_chemical_formula_sum 'Y2 Zr1 Be1'
_symmetry_space_group_name_H-M 'P 4 m m'
_symmetry_Int_Tables_number 99
_symmetry_space_group_name_Hall 'P 4 -2'
_cell_length_a 3.382
_cell_length_b 3.382
_cell_length_c 8.318
_cell_angle_alpha 90.00
_cell_angle_beta 90.00
_cell_angle_gamma 90.00
loop_
_atom_site_label
_atom_site_type_symbol
_atom_site_fract_x
_atom_site_fract_y
_atom_site_fract_z
Y1 Y 0.000 0.000 0.000
Y2 Y 0.500 0.500 0.338
Zr1 Zr 0.000 0.000 0.616
Be1 Be 0.500 0.500 0.782
```



The following is a computed powder diffraction line list of Fe13Mo9. It was derived from a GGA-PBE-relaxed structure, using Cu Kα.
Intensities are scaled so that the largest is 100.

The 8 most intense peaks (15 to 90 degrees two-theta), low angle first:
Position (°2θ)	d [Å]	I_rel	h k l
38.28	2.351	38	0 2 0
40.60	2.222	56	7 1 -4
40.75	2.214	58	7 1 1
42.45	2.129	50	9 1 -2
42.60	2.122	60	3 1 -5
44.81	2.023	100	3 1 4
45.67	1.986	39	4 2 -3
46.25	1.963	32	6 2 -1

Structural model:
```
data_Fe13Mo9
_chemical_formula_sum 'Fe52 Mo36'
_symmetry_space_group_name_H-M 'C 1 2/m 1'
_symmetry_Int_Tables_number 12
_symmetry_space_group_name_Hall '-C 2y'
_cell_length_a 21.495
_cell_length_b 4.703
_cell_length_c 11.914
_cell_angle_alpha 90.00
_cell_angle_beta 113.01
_cell_angle_gamma 90.00
loop_
_atom_site_label
_atom_site_type_symbol
_atom_site_fract_x
_atom_site_fract_y
_atom_site_fract_z
Fe1 Fe 0.047 0.000 0.216
Fe2 Fe 0.048 0.257 0.784
Fe3 Fe 0.104 0.000 0.672
Fe4 Fe 0.141 0.261 0.209
Fe5 Fe 0.148 0.000 0.887
Fe6 Fe 0.153 0.000 0.391
Fe7 Fe 0.158 0.251 0.566
Fe8 Fe 0.197 0.000 0.111
Fe9 Fe 0.243 0.000 0.330
Fe10 Fe 0.250 0.250 0.000
Mo1 Mo 0.024 0.500 0.112
Mo2 Mo 0.032 0.000 0.422
Mo3 Mo 0.054 0.500 0.591
Mo4 Mo 0.064 0.000 0.000
Mo5 Mo 0.080 0.500 0.358
Mo6 Mo 0.135 0.500 0.998
Mo7 Mo 0.169 0.500 0.791
Mo8 Mo 0.223 0.500 0.424
Mo9 Mo 0.241 0.000 0.782
```



The following is a computed powder diffraction line list of Rb2FeBiBr6. It was derived from a GGA-PBE-relaxed structure, using Cu Kα.
Intensities are scaled so that the largest is 100.

The 8 most intense peaks (15 to 90 degrees two-theta), low angle first:
Position (°2θ)	d [Å]	I_rel	h k l
15.87	5.585	65	0 0 2
22.51	3.949	66	1 1 2
27.66	3.225	55	2 0 2
31.91	2.804	50	0 0 4
32.12	2.787	100	2 2 0
45.91	1.977	71	2 2 4
46.06	1.971	35	4 0 0
57.13	1.612	36	4 0 4

Structural model:
```
data_Rb2FeBiBr6
_chemical_formula_sum 'Rb4 Fe2 Bi2 Br12'
_symmetry_space_group_name_H-M 'I 4/m m m'
~~~

(Written answer)
The following is a computed powder diffraction line list of Th2TlCd5. It was derived from a GGA-PBE-relaxed structure, using Cu Kα.
Intensities are scaled so that the largest is 100.

The 8 most intense peaks (15 to 90 degrees two-theta), low angle first:
Position (°2θ)	d [Å]	I_rel	h k l
26.54	3.358	34	1 1 2
30.21	2.958	100	1 3 2
31.64	2.827	76	1 5 0
33.44	2.679	51	1 1 3
38.18	2.357	49	2 0 0
41.00	2.201	30	0 6 3
42.00	2.151	21	1 5 3
57.26	1.609	22	2 6 3

Structural model:
```
data_Th2TlCd5
_chemical_formula_sum 'Th8 Tl4 Cd20'
_symmetry_space_group_name_H-M 'C m c m'
_symmetry_Int_Tables_number 63
_symmetry_space_group_name_Hall '-C 2c 2'
_cell_length_a 4.715
_cell_length_b 17.673
_cell_length_c 9.939
_cell_angle_alpha 90.00
_cell_angle_beta 90.00
_cell_angle_gamma 90.00
loop_
_atom_site_label
_atom_site_type_symbol
_atom_site_fract_x
_atom_site_fract_y
_atom_site_fract_z
Th1 Th 0.000 0.000 0.000
Th2 Th 0.000 0.193 0.250
Tl1 Tl 0.000 0.455 0.750
Cd1 Cd 0.000 0.192 0.604
Cd2 Cd 0.000 0.353 0.529
Cd3 Cd 0.000 0.388 0.250
```



The following is a computed powder diffraction line list of Y2ZrBe. It was derived from a GGA-PBE-relaxed structure, using Cu Kα.
Intensities are scaled so that the largest is 100.

The 8 most intense peaks (15 to 90 degrees two-theta), low angle first:
Position (°2θ)	d [Å]	I_rel	h k l
28.49	3.133	69	1 0 1
32.29	2.773	32	0 0 3
34.17	2.624	100	1 0 2
37.62	2.391	57	1 1 0
50.40	1.811	35	1 1 3
54.25	1.691	19	2 0 0
62.19	1.493	18	1 0 5
65.70	1.421	28	2 1 2

Structural model:
```
data_Y2ZrBe
_chemical_formula_sum 'Y2 Zr1 Be1'
_symmetry_space_group_name_H-M 'P 4 m m'
_symmetry_Int_Tables_number 99
_symmetry_space_group_name_Hall 'P 4 -2'
_cell_length_a 3.382
_cell_length_b 3.382
_cell_length_c 8.318
_cell_angle_alpha 90.00
_cell_angle_beta 90.00
_cell_angle_gamma 90.00
loop_
_atom_site_label
_atom_site_type_symbol
_atom_site_fract_x
_atom_site_fract_y
_atom_site_fract_z
Y1 Y 0.000 0.000 0.000
Y2 Y 0.500 0.500 0.338
Zr1 Zr 0.000 0.000 0.616
Be1 Be 0.500 0.500 0.782
```



The following is a computed powder diffraction line list of Fe13Mo9. It was derived from a GGA-PBE-relaxed structure, using Cu Kα.
Intensities are scaled so that the largest is 100.

The 8 most intense peaks (15 to 90 degrees two-theta), low angle first:
Position (°2θ)	d [Å]	I_rel	h k l
38.28	2.351	38	0 2 0
40.60	2.222	56	7 1 -4
40.75	2.214	58	7 1 1
42.45	2.129	50	9 1 -2
42.60	2.122	60	3 1 -5
44.81	2.023	100	3 1 4
45.67	1.986	39	4 2 -3
46.25	1.963	32	6 2 -1

Structural model:
```
data_Fe13Mo9
_chemical_formula_sum 'Fe52 Mo36'
_symmetry_space_group_name_H-M 'C 1 2/m 1'
_symmetry_Int_Tables_number 12
_symmetry_space_group_name_Hall '-C 2y'
_cell_length_a 21.495
_cell_length_b 4.703
_cell_length_c 11.914
_cell_angle_alpha 90.00
_cell_angle_beta 113.01
_cell_angle_gamma 90.00
loop_
_atom_site_label
_atom_site_type_symbol
_atom_site_fract_x
_atom_site_fract_y
_atom_site_fract_z
Fe1 Fe 0.047 0.000 0.216
Fe2 Fe 0.048 0.257 0.784
Fe3 Fe 0.104 0.000 0.672
Fe4 Fe 0.141 0.261 0.209
Fe5 Fe 0.148 0.000 0.887
Fe6 Fe 0.153 0.000 0.391
Fe7 Fe 0.158 0.251 0.566
Fe8 Fe 0.197 0.000 0.111
Fe9 Fe 0.243 0.000 0.330
Fe10 Fe 0.250 0.250 0.000
Mo1 Mo 0.024 0.500 0.112
Mo2 Mo 0.032 0.000 0.422
Mo3 Mo 0.054 0.500 0.591
Mo4 Mo 0.064 0.000 0.000
Mo5 Mo 0.080 0.500 0.358
Mo6 Mo 0.135 0.500 0.998
Mo7 Mo 0.169 0.500 0.791
Mo8 Mo 0.223 0.500 0.424
Mo9 Mo 0.241 0.000 0.782
```



The following is a computed powder diffraction line list of Rb2FeBiBr6. It was derived from a GGA-PBE-relaxed structure, using Cu Kα.
Intensities are scaled so that the largest is 100.

The 8 most intense peaks (15 to 90 degrees two-theta), low angle first:
Position (°2θ)	d [Å]	I_rel	h k l
15.87	5.585	65	0 0 2
22.51	3.949	66	1 1 2
27.66	3.225	55	2 0 2
31.91	2.804	50	0 0 4
32.12	2.787	100	2 2 0
45.91	1.977	71	2 2 4
46.06	1.971	35	4 0 0
57.13	1.612	36	4 0 4

Structural model:
```
data_Rb2FeBiBr6
_chemical_formula_sum 'Rb4 Fe2 Bi2 Br12'
_symmetry_space_group_name_H-M 'I 4/m m m'